Psychological Barriers to a Peaceful Resolution: Longitudinal Evidence from the Middle East and Northern Ireland
In: Studies in conflict and terrorism, Band 41, Heft 8, S. 660-676
ISSN: 1521-0731
1215 Ergebnisse
In: Studies in conflict and terrorism, Band 41, Heft 8, S. 660-676
ISSN: 1521-0731
In: Journal of Advanced Management Research, 2018
In: International conciliation
Inserted here: crystal structures
Starting from a structure optimized by DFT (PBE), the PXRD pattern of U3VSb5 was simulated for a wavelength of 1.5418 Å.
Peak positions follow from Bragg's law for the DFT cell and can differ from measured ones.

Cell and atoms:
Unit cell a=9.113 b=9.113 c=6.082 alpha=90.00 beta=90.00 gamma=120.00
Fractional coordinates of all 18 atoms:
U1 0.000 0.389 0.250
U2 0.000 0.611 0.750
U3 0.389 0.000 0.250
U4 0.389 0.389 0.750
U5 0.611 0.000 0.750
U6 0.611 0.611 0.250
V1 0.000 0.000 0.000
V2 0.000 0.000 0.500
Sb1 0.000 0.256 0.750
Sb2 0.000 0.744 0.250
Sb3 0.256 0.000 0.750
Sb4 0.256 0.256 0.250
Sb5 0.333 0.667 0.000
Sb6 0.333 0.667 0.500
Sb7 0.667 0.333 0.000
Sb8 0.667 0.333 0.500
Sb9 0.744 0.000 0.250
Sb10 0.744 0.744 0.750

The 10 most intense peaks (2θ from 10° to 90°), most intense first:
2θ = 33.46°, I = 1000
2θ = 35.49°, I = 896
2θ = 34.08°, I = 753
2θ = 43.96°, I = 359
2θ = 24.41°, I = 290
2θ = 29.37°, I = 257
2θ = 54.74°, I = 248
2θ = 50.02°, I = 188
2θ = 64.31°, I = 180
2θ = 71.69°, I = 180

=====

Starting from a structure optimized by DFT (PBE), the PXRD pattern of U5VSb3 was simulated for a wavelength of 1.5418 Å.
Peak positions follow from Bragg's law for the DFT cell and can differ from measured ones.

Cell and atoms:
Unit cell a=9.129 b=9.129 c=5.934 alpha=90.00 beta=90.00 gamma=120.00
Fractional coordinates of all 18 atoms:
U1 0.000 0.258 0.250
U2 0.000 0.742 0.750
U3 0.258 0.000 0.250
U4 0.258 0.258 0.750
U5 0.333 0.667 0.000
U6 0.333 0.667 0.500
U7 0.667 0.333 0.000
U8 0.667 0.333 0.500
U9 0.742 0.000 0.750
U10 0.742 0.742 0.250
V1 0.000 0.000 0.000
V2 0.000 0.000 0.500
Sb1 0.000 0.384 0.750
Sb2 0.000 0.616 0.250
Sb3 0.384 0.000 0.750
Sb4 0.384 0.384 0.250
Sb5 0.616 0.000 0.250
Sb6 0.616 0.616 0.750

The 10 most intense peaks (2θ from 10° to 90°), most intense first:
2θ = 36.11°, I = 1000
2θ = 33.58°, I = 920
2θ = 34.02°, I = 779
2θ = 50.45°, I = 314
2θ = 29.90°, I = 286
2θ = 55.73°, I = 222
2θ = 52.78°, I = 208
2θ = 55.90°, I = 191
2θ = 73.22°, I = 176
2θ = 32.23°, I = 164

=====

Starting from a structure optimized by DFT (PBE), the PXRD pattern of YUSb2 was simulated for a wavelength of 1.5418 Å.
Peak positions follow from Bragg's law for the DFT cell and can differ from measured ones.

Cell and atoms:
Unit cell a=7.755 b=7.755 c=7.755 alpha=32.51 beta=32.51 gamma=32.51
Fractional coordinates of all 4 atoms:
Y1 0.000 0.000 0.000
U1 0.500 0.500 0.500
Sb1 0.250 0.250 0.250
Sb2 0.750 0.750 0.750

The 10 most intense peaks (2θ from 10° to 90°), most intense first:
2θ = 28.75°, I = 1000
2θ = 40.63°, I = 395
2θ = 41.60°, I = 370
2θ = 51.36°, I = 200
2θ = 66.76°, I = 183
2θ = 68.15°, I = 172
2θ = 75.25°, I = 131
2θ = 59.55°, I = 128
2θ = 12.06°, I = 128
2θ = 24.01°, I = 88

=====

Starting from a structure optimized by DFT (PBE), the PXRD pattern of ZrU3Sb5 was simulated for a wavelength of 1.5418 Å.
Peak positions follow from Bragg's law for the DFT cell and can differ from measured ones.

Cell and atoms:
ISSN: 0020-6407
In: Public Performance & Management Review, Band 26, Heft 1, S. 5
In: Public performance & management review, Band 26, Heft 1, S. 5-25
ISSN: 1557-9271
In: Public performance & management review, Band 26, Heft 1, S. 5-25
ISSN: 1530-9576
This paper focuses on barriers and drivers of personal and public engagement. The success of climate change policies in democracies depends on social consent and ownership of the actions taken. Campaigners and decision-makers therefore need to communicate their ideas in a way that speaks to and galvanises people. To do this successfully, the first step is to recognise what motivates people to act and what hinders them. This paper contributes to answering these questions by giving an overview of theories from psychological and communication science on the cognitive biases that obstruct logical decision-making. It then moves on to suggest an alternative to the widely used "fear appeal" in communication about climate change: an opportunity-oriented framing of climate mitigation that connects to people's values with the prospect of fostering long-lasting engagement with sustainable action. Lastly, the paper explores how the co-benefits framing can be used for policymaking.
In: Vestnik of Kostroma State University. Series: Pedagogy. Psychology. Sociokinetics, Band 26, Heft 3, S. 93-97
The article presents the results of research on psychological barriers and restrictions that prevent professional psychologists' development during their work at the Federal Penitentiary Service of Russia. The content of the concepts "psychological barriers" and "psychological restrictions" is analysed. The content is disclosed at the general level. The article describes the results of empirical research of psychological barriers and limitations among psychologists of the FPS of Russia, the main method of which included expert evaluation. The causes of objective, subjective and objective-subjective nature were identified, and their psychological content was revealed. The role of psychological diagnostics in determining psychological barriers and restrictions, their level of expression is shown. It is noted that the role of barriers and restrictions of a subjective nature is underestimated by psychologists of the service activity of the Federal penitentiary service, thus purposeful work on their compensation is limited. In order to overcome psychological barriers and constraints, use of different methods and technologies, priority is given to self-development.
In: Cultural diversity and ethnic minority psychology, Band 20, Heft 4, S. 521-528
ISSN: 1939-0106
Having been part of the police institution, it places the participants in a specific place within the political currents of the country, where the anti-communist doctrine of the internal enemy prevails. Such a situation holds a language of war against political differences, while stigmatizing as traitors or infiltrators all those, who challenge the prospect of military victory as the only alternative to resolving conflicts, or who denounce human rights violations committed by the Military Forces. These elements make it possible to observe how discourses circulate in contexts where active and retired members of the Armed Forces converge and contribute to reinforcing a number of ideas, which can be considered as psychosocial barriers to peace. ; Haber sido parte de la institución policial, ubica a los participantes en un lugar específico dentro de las corrientes políticas del país, en donde prima la doctrina anticomunista del enemigo interno, sosteniendo un lenguaje de guerra contra las diferencias políticas, mientras se estigmatizan como traidores o infiltrados todas aquellas personas que cuestionen la perspectiva de la victoria militar como única alternativa para solucionar los conflictos, o que denuncian las violaciones a los derechos humanos cometidas por las fuerzas militares. Estos elementos permiten observar como los discursos que circulan en los contextos donde confluyen miembros activos y retirados de las fuerzas armadas contribuyen a reforzar una serie de ideas que pueden ser consideradas como barreras psicosociales para la paz.
In: Qualitative report: an online journal dedicated to qualitative research and critical inquiry
ISSN: 1052-0147
This is the first study in a long-term qualitative, theory generating, research project aimed at uncovering conditions that facilitate development of destructive psychological processes in care organizations. Special focus was put on three previously identified problem areas, i.e., staff privileges, conflicting educational traditions/cultures among staff, and psychological reparative work on the part of the staff. A special approved home for teenage boys with serious psychosocial, drug and criminal problems was studied. The strategy used was grounded theory together with abductive reasoning. Data were collected using institutional documents, questionnaires and individual psychotherapeutic interviews. In spite of a target group with serious psychosocial problems, strong institutional boundaries, and staff without professional training in caring, no destructive processes strong enough to obstruct care were found in this institution. The purposed explanation is that the combined effect of history, institutional structure and routines, and psychological conditions has prevented destructive processes from developing. When attention is paid to these conditions, they may be deliberately used as "planned barriers", protecting against destructive psychological institutional processes.
In: PBFJ-D-23-00409
In: Političeskie issledovanija: Polis ; naučnyj i kul'turno-prosvetitel'skij žurnal = Political studies, Heft 4, S. 132-134
[Here the page breaks off for crystal structures]
/*
(1)
Structure and theoretical X-ray powder pattern of In3Pt (a GGA-PBE-relaxed structure; Cu Kα (weighted mean of Kα1 and Kα2)).
No peak broadening, texture or thermal motion is included.

Atomic structure:
Cell lengths 7.378, 8.244, 5.942 Å; angles 90.00, 90.00, 90.00 degrees
Positions (direct):
In 0.008 0.250 0.101
In 0.177 0.057 0.648
In 0.177 0.443 0.648
In 0.323 0.557 0.148
In 0.323 0.943 0.148
In 0.492 0.750 0.601
In 0.508 0.250 0.399
In 0.677 0.057 0.852
In 0.677 0.443 0.852
In 0.823 0.557 0.352
In 0.823 0.943 0.352
In 0.992 0.750 0.899
Pt 0.128 0.750 0.457
Pt 0.372 0.250 0.957
Pt 0.628 0.750 0.043
Pt 0.872 0.250 0.543

Most intense lines, 2θ from 15° to 90°, by intensity:
d [Å]  intensity
2.363  100
2.614  100
2.272  98
2.495  87
2.751  81
2.204  78


(2)
Structure and theoretical X-ray powder pattern of La3Y2Tm (a GGA-PBE-relaxed structure; Cu Kα (weighted mean of Kα1 and Kα2)).
No peak broadening, texture or thermal motion is included.

Atomic structure:
Cell lengths 9.790, 9.790, 6.392 Å; angles 102.42, 102.42, 43.79 degrees
Positions (direct):
La 0.040 0.292 0.024
La 0.127 0.873 0.750
La 0.292 0.040 0.524
La 0.708 0.960 0.476
La 0.873 0.127 0.250
La 0.960 0.708 0.976
Y 0.213 0.457 0.470
Y 0.457 0.213 0.970
Y 0.543 0.787 0.030
Y 0.787 0.543 0.530
Tm 0.381 0.619 0.250
Tm 0.619 0.381 0.750

Most intense lines, 2θ from 15° to 90°, by intensity:
d [Å]  intensity
2.861  100
2.719  84
2.946  72
2.876  50
2.740  43
3.148  43


(3)
Structure and theoretical X-ray powder pattern of Zn7SnN6 (a GGA-PBE-relaxed structure; Cu Kα (weighted mean of Kα1 and Kα2)).
No peak broadening, texture or thermal motion is included.

Atomic structure:
Cell lengths 10.850, 6.033, 12.475 Å; angles 90.00, 90.00, 90.00 degrees
Positions (direct):
Zn 0.000 0.090 0.250
Zn 0.000 0.910 0.750
Zn 0.035 0.267 0.042
Zn 0.035 0.733 0.542
Zn 0.207 0.136 0.574
Zn 0.207 0.864 0.074
Zn 0.243 0.152 0.846
Zn 0.243 0.848 0.346
Zn 0.257 0.348 0.346
Zn 0.257 0.652 0.846
Zn 0.293 0.364 0.074
Zn 0.293 0.636 0.574
Zn 0.465 0.233 0.542
Zn 0.465 0.767 0.042
Zn 0.500 0.410 0.750
Zn 0.500 0.590 0.250
Zn 0.535 0.233 0.958
Zn 0.535 0.767 0.458
Zn 0.707 0.364 0.426
Zn 0.707 0.636 0.926
Zn 0.743 0.348 0.154
Zn 0.743 0.652 0.654
Zn 0.757 0.152 0.654
Zn 0.757 0.848 0.154
Zn 0.793 0.136 0.926
Zn 0.793 0.864 0.426
Zn 0.965 0.267 0.458
Zn 0.965 0.733 0.958
Sn 0.000 0.399 0.750
Sn 0.000 0.601 0.250
Sn 0.500 0.101 0.250
Sn 0.500 0.899 0.750
N 0.073 0.351 0.349
N 0.073 0.649 0.849
N 0.133 0.155 0.718
N 0.133 0.845 0.218
N 0.183 0.149 0.996
N 0.183 0.851 0.496
N 0.317 0.351 0.496
N 0.317 0.649 0.996
N 0.367 0.345 0.218
N 0.367 0.655 0.718
N 0.427 0.149 0.849
N 0.427 0.851 0.349
N 0.573 0.149 0.651
N 0.573 0.851 0.151
N 0.633 0.345 0.282
N 0.633 0.655 0.782
N 0.683 0.351 0.004
N 0.683 0.649 0.504
N 0.817 0.149 0.504
N 0.817 0.851 0.004
N 0.867 0.155 0.782
N 0.867 0.845 0.282
N 0.927 0.351 0.151
N 0.927 0.649 0.651

Most intense lines, 2θ from 15° to 90°, by intensity:
d [Å]  intensity
2.579  100
*/
[End of the crystal structures]
ISSN: 1026-9487, 0321-2017